Input >
=====
Record 1
Theoretical XRD peak list
Compound: Rb2O
Radiation: Cu Kα, 1.54184 Å
Structure: a PBE-relaxed structure

Top 8 peaks for 2θ = 10–90°, in order of rising 2θ:
| index | 2θ (°) | I_rel |
| --- | --- | --- |
| 0 4 0 | 26.38 | 33 |
| 2 1 0 | 26.76 | 67 |
| 0 2 2 | 28.50 | 50 |
| 2 2 0 | 29.14 | 100 |
| 0 4 1 | 29.30 | 65 |
| 1 2 2 | 31.38 | 37 |
| 2 0 2 | 36.45 | 36 |
| 2 2 2 | 38.89 | 39 |

Structure:
a b c (Å): 6.8798 13.5117 7.0692
angles (deg): 90.00 90.00 90.00
Space group Pbca (No. 61)
One atom of each set of equivalent atoms:
Rb1 0.0010 0.0239 0.2388
Rb2 0.1480 0.7041 0.8820
O1 0.2300 0.1140 0.5396

Record 2
Theoretical XRD peak list
Compound: Mg6MnB
Radiation: Cu Kα, 1.54184 Å
Structure: a PBE-relaxed structure

Top 8 peaks for 2θ = 10–90°, in order of rising 2θ:
| index | 2θ (°) | I_rel |
| --- | --- | --- |
| 0 0 2 | 16.35 | 19 |
| 1 1 1 | 25.95 | 20 |
| 0 2 2 | 32.68 | 34 |
| 1 2 2 | 38.70 | 100 |
| 1 0 4 | 39.03 | 46 |
| 2 0 0 | 40.98 | 31 |
| 2 2 2 | 53.38 | 15 |
| 3 2 2 | 73.12 | 18 |

Structure:
a b c (Å): 4.4043 6.3511 10.8398
angles (deg): 90.00 90.00 90.00
Space group Amm2 (No. 38)
One atom of each set of equivalent atoms:
Mg1 0.0000 0.0000 0.0000
Mg2 0.0000 0.2298 0.2561
Mg3 0.5000 0.0000 0.8288
Mg4 0.5000 0.2317 0.5671
Mn1 0.0000 0.0000 0.4695
B1 0.5000 0.0000 0.3855

Record 3
Theoretical XRD peak list
Compound: Mg5Si9
Radiation: Cu Kα, 1.54184 Å
Structure: a PBE-relaxed structure

Top 8 peaks for 2θ = 10–90°, in order of rising 2θ:
| index | 2θ (°) | I_rel |
| --- | --- | --- |
| 1 -3 1 | 34.81 | 56 |
| 1 2 0 | 36.02 | 50 |
| 1 -3 0 | 36.32 | 50 |
| 2 1 -2 | 36.93 | 57 |
| 1 -2 4 | 37.27 | 43 |
| 2 -1 3 | 37.85 | 80 |
| -1 1 4 | 39.49 | 100 |
| 2 1 -3 | 39.79 | 41 |

Structure:
a b c (Å): 6.8593 7.7480 10.8977
angles (deg): 105.83 92.70 114.74
Space group P1 (No. 1)
One atom of each set of equivalent atoms:
Mg1 0.0000 0.0000 0.0000
Mg2 0.0110 0.2887 0.4121
Mg3 0.0545 0.3222 0.6901
Mg4 0.0868 0.9424 0.4983
Mg5 0.2650 0.8211 0.1232
Mg6 0.3242 0.6955 0.6221
Mg7 0.4859 0.5938 0.1772
Mg8 0.5043 0.1980 0.0221
Mg9 0.5659 0.1508 0.6524
Mg10 0.7604 0.4959 0.3383
Si1 0.0345 0.4062 0.1690
Si2 0.1968 0.7789 0.8583
Si3 0.1993 0.0330 0.7681
Si4 0.2355 0.3525 0.9263
Si5 0.2481 0.6916 0.3668
Si6 0.3149 0.2115 0.2553
Si7 0.4260 0.3261 0.5056
Si8 0.5022 0.5235 0.7801
Si9 0.5157 0.0546 0.3689
Si10 0.5503 0.8232 0.9516
Si11 0.6428 0.8395 0.4688
Si12 0.7126 0.0479 0.1795
Si13 0.7958 0.8640 0.6978
Si14 0.8196 0.5190 0.5955
Si15 0.8223 0.1898 0.8725
Si16 0.8388 0.5237 0.8612
Si17 0.8461 0.5815 0.0951
Si18 0.9602 0.9242 0.2427

Record 4
Theoretical XRD peak list
Compound: Al2Bi3O9
Radiation: Cu Kα, 1.54184 Å
Structure: a PBE-relaxed structure

Top 8 peaks for 2θ = 10–90°, in order of rising 2θ:
| index | 2θ (°) | I_rel |
| --- | --- | --- |
| 0 0 3 | 21.04 | 44 |
| 1 0 0 | 24.47 | 91 |
| 1 0 3 | 32.49 | 100 |
| 1 1 0 | 34.88 | 57 |
| 1 1 3 | 41.09 | 70 |
| 1 0 5 | 43.53 | 29 |
| 2 0 0 | 50.16 | 34 |
| 2 1 3 | 61.04 | 36 |

Structure:
a b c (Å): 3.6375 3.6375 12.6685
angles (deg): 90.00 90.00 90.00
Space group P4/mmm (No. 123)
One atom of each set of equivalent atoms:
Al1 0.0000 0.0000 0.1664
Bi1 0.5000 0.5000 0.0000
Bi2 0.5000 0.5000 0.3692
O1 0.0000 0.0000 0.0000
=====
Work order >
Could you retype the lines further up up to the one that holds "36.93", that line included?
Outcome >
Record 1
Theoretical XRD peak list
Compound: Rb2O
Radiation: Cu Kα, 1.54184 Å
Structure: a PBE-relaxed structure

Top 8 peaks for 2θ = 10–90°, in order of rising 2θ:
| index | 2θ (°) | I_rel |
| --- | --- | --- |
| 0 4 0 | 26.38 | 33 |
| 2 1 0 | 26.76 | 67 |
| 0 2 2 | 28.50 | 50 |
| 2 2 0 | 29.14 | 100 |
| 0 4 1 | 29.30 | 65 |
| 1 2 2 | 31.38 | 37 |
| 2 0 2 | 36.45 | 36 |
| 2 2 2 | 38.89 | 39 |

Structure:
a b c (Å): 6.8798 13.5117 7.0692
angles (deg): 90.00 90.00 90.00
Space group Pbca (No. 61)
One atom of each set of equivalent atoms:
Rb1 0.0010 0.0239 0.2388
Rb2 0.1480 0.7041 0.8820
O1 0.2300 0.1140 0.5396

Record 2
Theoretical XRD peak list
Compound: Mg6MnB
Radiation: Cu Kα, 1.54184 Å
Structure: a PBE-relaxed structure

Top 8 peaks for 2θ = 10–90°, in order of rising 2θ:
| index | 2θ (°) | I_rel |
| --- | --- | --- |
| 0 0 2 | 16.35 | 19 |
| 1 1 1 | 25.95 | 20 |
| 0 2 2 | 32.68 | 34 |
| 1 2 2 | 38.70 | 100 |
| 1 0 4 | 39.03 | 46 |
| 2 0 0 | 40.98 | 31 |
| 2 2 2 | 53.38 | 15 |
| 3 2 2 | 73.12 | 18 |

Structure:
a b c (Å): 4.4043 6.3511 10.8398
angles (deg): 90.00 90.00 90.00
Space group Amm2 (No. 38)
One atom of each set of equivalent atoms:
Mg1 0.0000 0.0000 0.0000
Mg2 0.0000 0.2298 0.2561
Mg3 0.5000 0.0000 0.8288
Mg4 0.5000 0.2317 0.5671
Mn1 0.0000 0.0000 0.4695
B1 0.5000 0.0000 0.3855

Record 3
Theoretical XRD peak list
Compound: Mg5Si9
Radiation: Cu Kα, 1.54184 Å
Structure: a PBE-relaxed structure

Top 8 peaks for 2θ = 10–90°, in order of rising 2θ:
| index | 2θ (°) | I_rel |
| --- | --- | --- |
| 1 -3 1 | 34.81 | 56 |
| 1 2 0 | 36.02 | 50 |
| 1 -3 0 | 36.32 | 50 |
| 2 1 -2 | 36.93 | 57 |